• Entries:
~~~
1.
8
Lattice="3.3566 1.9379 2.7340 -3.3566 1.9379 2.7340 0.0000 -3.8759 2.7340" Properties=species:S:1:pos:R:3 comment="Cr3Si2Mo3, relaxed, DFT PBE" volume_a3_per_atom=13.34 magmom_total_mub_per_atom=0.00 delta_e_f_mev_per_atom=-285 pbc="T T T"
Cr -2.5129 0.4765 2.7340
Cr 0.8437 -2.4145 2.7340
Cr 1.6691 1.9379 2.7340
Si 0.0000 0.0000 1.9834
Si 0.0000 0.0000 6.2185
Mo -0.8395 -1.4540 4.1010
Mo -0.8395 1.4540 4.1010
Mo 1.6789 0.0000 4.1010

2.
12
Lattice="7.6227 0.0000 0.0000 0.0000 2.4176 4.2479 0.0000 -2.4176 4.2479" Properties=species:S:1:pos:R:3 comment="CrSiMo, relaxed, DFT PBE" volume_a3_per_atom=13.05 magmom_total_mub_per_atom=0.00 delta_e_f_mev_per_atom=-197 pbc="T T T"
Cr 0.0000 -1.2401 4.2479
Cr 0.0000 1.2401 4.2479
Cr 1.8865 0.0000 4.8886
Cr 5.7362 0.0000 4.8886
Si 0.0000 0.0000 6.4097
Si 3.8113 0.0000 3.4904
Si 3.8113 -1.2196 5.6356
Si 3.8113 1.2196 5.6356
Mo 1.4624 0.0000 2.0852
Mo 2.4629 0.0000 7.7644
Mo 5.1598 0.0000 7.7644
Mo 6.1603 0.0000 2.0852

3.
8
Lattice="1.7077 -1.9254 -1.5049 3.4518 3.5303 -0.5998 0.7790 -0.8779 4.9597" Properties=species:S:1:pos:R:3 comment="CrN, relaxed, DFT PBE" volume_a3_per_atom=8.95 magmom_total_mub_per_atom=0.00 delta_e_f_mev_per_atom=-644 pbc="T T T"
N 1.7026 0.8635 0.8271
Cr 3.4415 1.7730 1.6368
N 4.2358 -0.1367 2.0281
N 1.6561 -0.9392 3.0805
Cr 2.5696 -0.9547 1.1843
Cr 2.5436 0.7570 -1.0354
Cr 3.4154 3.4846 -0.5829
N 4.2824 1.6663 -0.2256

4.
28
Lattice="8.1765 0.0000 0.0000 -4.0882 7.0810 0.0000 0.0000 0.0000 6.0296" Properties=species:S:1:pos:R:3 comment="Cr3N4, relaxed, DFT PBE" volume_a3_per_atom=12.47 relative_energy_mev_per_atom=34 magmom_total_mub_per_atom=0.72 delta_e_f_mev_per_atom=-475 pbc="T T T"
Cr -1.6537 4.0220 0.0000
Cr -0.3293 1.7997 4.4015
Cr -2.3650 6.4664 4.4015
Cr 1.7233 0.6146 1.3867
Cr 1.4320 3.6379 0.0000
Cr 0.2217 6.5022 0.0000
Cr 2.4345 3.0591 3.0148
Cr 4.3100 0.5788 3.0148
Cr 2.6943 5.8959 4.4015
Cr 3.7589 5.2813 1.3867
Cr 6.7825 1.1851 1.3867
Cr 5.5202 3.4431 3.0148
N 0.0000 0.0000 1.3722
N 0.0000 0.0000 4.3870
N -1.2707 2.2335 2.8904
N -2.3008 4.6235 4.4132
N -1.5186 7.0647 2.8904
N 2.5697 0.0163 5.9052
N 0.0000 4.7207 0.3939
N 1.2346 2.7768 4.4132
N 1.7875 2.4576 1.3984
N 1.0662 6.7618 4.4132
N 5.1544 0.3192 1.3984
N 4.0882 2.3603 3.4087
N 2.7893 4.8638 2.8904
N 2.8175 4.8475 5.9052
N 5.3228 4.3042 1.3984
N 6.8775 2.2172 5.9052

~~~~~

LiV6O11F: optimized geometry, PBE+U.

Properties
Calculated formation energy: -2.410 eV/atom
Space-group type: Cm, No. 8
Uncorrected energy: -7.385 eV/atom

Cell: 5.0876 5.0875 8.7377 Å, 91.59 88.41 101.93°
With the nearest neighbours (Å) after each atom.
Fractional coordinates of all 19 atoms:
O (0.8099, 0.1901, 0.1627)  1 V 1.81
O (0.1353, 0.8647, 0.4959)  1 Li 1.68, 1 V 1.87
O (0.3310, 0.2980, 0.3339)  3 V 1.95-2.03
O (0.2982, 0.3337, 0.6707)  1 Li 1.97, 3 V 2.00-2.03
O (0.1988, 0.8012, 0.8337)  1 V 1.81, 1 Li 1.99
O (0.7020, 0.6690, 0.3339)  3 V 1.95-2.03
O (0.7986, 0.2014, 0.5074)  1 V 1.75
O (0.1611, 0.8389, 0.1545)  1 V 1.69
O (0.6664, 0.7018, 0.6707)  1 Li 1.97, 3 V 2.00-2.03
O (0.6912, 0.6857, 0.0038)  3 V 1.92-2.00
O (0.3143, 0.3088, 0.0038)  3 V 1.92-2.00
V (0.0191, 0.9809, 0.0139)  1 O 1.69
V (0.9828, 0.0172, 0.6640)  4 O 1.87-2.03, 1 F 1.99
V (0.5814, 0.4186, 0.1653)  5 O 1.81-1.97
V (0.9839, 0.0161, 0.3330)  6 O 1.89-2.08
V (0.4267, 0.5733, 0.8507)  5 O 1.81-2.00
V (0.5774, 0.4225, 0.5011)  3 O 1.75-1.96
F (0.8344, 0.1656, 0.8523)  2 V 1.99-2.07
Li (0.2934, 0.7069, 0.6200)  1 O 1.68

~~~~~

Entry 1:
Entry from the Materials Project: a relaxed Li6FeO5F crystal (PBE with a Hubbard U).

POSCAR file:
```
Li6FeO5F
1.0
5.4997 0.0000 0.0000
2.5541 4.8842 0.0000
2.4641 1.6208 4.7235
Li Fe O F
6 1 5 1
Direct
0.0000 0.0000 0.0000 Li
0.0134 0.8412 0.5204 Li
0.2056 0.3955 0.3133 Li
0.4113 0.2200 0.7547 Li
0.5682 0.6277 0.7269 Li
0.7687 0.4084 0.1761 Li
0.5217 0.9080 0.2132 Fe
0.1560 0.1308 0.1609 O
0.4077 0.5799 0.4499 O
0.5997 0.2577 0.0430 O
0.7024 0.8112 0.8896 O
0.8450 0.7197 0.3448 O
0.2643 0.0345 0.6406 F
```
~~~
• Brief:
It remains to retype the data further up from the line with "-0.8395 -1.4540" to the end verbatim.
• Reply:
Mo -0.8395 -1.4540 4.1010
Mo -0.8395 1.4540 4.1010
Mo 1.6789 0.0000 4.1010

2.
12
Lattice="7.6227 0.0000 0.0000 0.0000 2.4176 4.2479 0.0000 -2.4176 4.2479" Properties=species:S:1:pos:R:3 comment="CrSiMo, relaxed, DFT PBE" volume_a3_per_atom=13.05 magmom_total_mub_per_atom=0.00 delta_e_f_mev_per_atom=-197 pbc="T T T"
Cr 0.0000 -1.2401 4.2479
Cr 0.0000 1.2401 4.2479
Cr 1.8865 0.0000 4.8886
Cr 5.7362 0.0000 4.8886
Si 0.0000 0.0000 6.4097
Si 3.8113 0.0000 3.4904
Si 3.8113 -1.2196 5.6356
Si 3.8113 1.2196 5.6356
Mo 1.4624 0.0000 2.0852
Mo 2.4629 0.0000 7.7644
Mo 5.1598 0.0000 7.7644
Mo 6.1603 0.0000 2.0852

3.
8
Lattice="1.7077 -1.9254 -1.5049 3.4518 3.5303 -0.5998 0.7790 -0.8779 4.9597" Properties=species:S:1:pos:R:3 comment="CrN, relaxed, DFT PBE" volume_a3_per_atom=8.95 magmom_total_mub_per_atom=0.00 delta_e_f_mev_per_atom=-644 pbc="T T T"
N 1.7026 0.8635 0.8271
Cr 3.4415 1.7730 1.6368
N 4.2358 -0.1367 2.0281
N 1.6561 -0.9392 3.0805
Cr 2.5696 -0.9547 1.1843
Cr 2.5436 0.7570 -1.0354
Cr 3.4154 3.4846 -0.5829
N 4.2824 1.6663 -0.2256

4.
28
Lattice="8.1765 0.0000 0.0000 -4.0882 7.0810 0.0000 0.0000 0.0000 6.0296" Properties=species:S:1:pos:R:3 comment="Cr3N4, relaxed, DFT PBE" volume_a3_per_atom=12.47 relative_energy_mev_per_atom=34 magmom_total_mub_per_atom=0.72 delta_e_f_mev_per_atom=-475 pbc="T T T"
Cr -1.6537 4.0220 0.0000
Cr -0.3293 1.7997 4.4015
Cr -2.3650 6.4664 4.4015
Cr 1.7233 0.6146 1.3867
Cr 1.4320 3.6379 0.0000
Cr 0.2217 6.5022 0.0000
Cr 2.4345 3.0591 3.0148
Cr 4.3100 0.5788 3.0148
Cr 2.6943 5.8959 4.4015
Cr 3.7589 5.2813 1.3867
Cr 6.7825 1.1851 1.3867
Cr 5.5202 3.4431 3.0148
N 0.0000 0.0000 1.3722
N 0.0000 0.0000 4.3870
N -1.2707 2.2335 2.8904
N -2.3008 4.6235 4.4132
N -1.5186 7.0647 2.8904
N 2.5697 0.0163 5.9052
N 0.0000 4.7207 0.3939
N 1.2346 2.7768 4.4132
N 1.7875 2.4576 1.3984
N 1.0662 6.7618 4.4132
N 5.1544 0.3192 1.3984
N 4.0882 2.3603 3.4087
N 2.7893 4.8638 2.8904
N 2.8175 4.8475 5.9052
N 5.3228 4.3042 1.3984
N 6.8775 2.2172 5.9052

~~~~~

LiV6O11F: optimized geometry, PBE+U.

Properties
Calculated formation energy: -2.410 eV/atom
Space-group type: Cm, No. 8
Uncorrected energy: -7.385 eV/atom

Cell: 5.0876 5.0875 8.7377 Å, 91.59 88.41 101.93°
With the nearest neighbours (Å) after each atom.
Fractional coordinates of all 19 atoms:
O (0.8099, 0.1901, 0.1627)  1 V 1.81
O (0.1353, 0.8647, 0.4959)  1 Li 1.68, 1 V 1.87
O (0.3310, 0.2980, 0.3339)  3 V 1.95-2.03
O (0.2982, 0.3337, 0.6707)  1 Li 1.97, 3 V 2.00-2.03
O (0.1988, 0.8012, 0.8337)  1 V 1.81, 1 Li 1.99
O (0.7020, 0.6690, 0.3339)  3 V 1.95-2.03
O (0.7986, 0.2014, 0.5074)  1 V 1.75
O (0.1611, 0.8389, 0.1545)  1 V 1.69
O (0.6664, 0.7018, 0.6707)  1 Li 1.97, 3 V 2.00-2.03
O (0.6912, 0.6857, 0.0038)  3 V 1.92-2.00
O (0.3143, 0.3088, 0.0038)  3 V 1.92-2.00
V (0.0191, 0.9809, 0.0139)  1 O 1.69
V (0.9828, 0.0172, 0.6640)  4 O 1.87-2.03, 1 F 1.99
V (0.5814, 0.4186, 0.1653)  5 O 1.81-1.97
V (0.9839, 0.0161, 0.3330)  6 O 1.89-2.08
V (0.4267, 0.5733, 0.8507)  5 O 1.81-2.00
V (0.5774, 0.4225, 0.5011)  3 O 1.75-1.96
F (0.8344, 0.1656, 0.8523)  2 V 1.99-2.07
Li (0.2934, 0.7069, 0.6200)  1 O 1.68

~~~~~

Entry 1:
Entry from the Materials Project: a relaxed Li6FeO5F crystal (PBE with a Hubbard U).

POSCAR file:
```
Li6FeO5F
1.0
5.4997 0.0000 0.0000
2.5541 4.8842 0.0000
2.4641 1.6208 4.7235
Li Fe O F
6 1 5 1
Direct
0.0000 0.0000 0.0000 Li
0.0134 0.8412 0.5204 Li
0.2056 0.3955 0.3133 Li
0.4113 0.2200 0.7547 Li
0.5682 0.6277 0.7269 Li
0.7687 0.4084 0.1761 Li
0.5217 0.9080 0.2132 Fe
0.1560 0.1308 0.1609 O
0.4077 0.5799 0.4499 O
0.5997 0.2577 0.0430 O
0.7024 0.8112 0.8896 O
0.8450 0.7197 0.3448 O
0.2643 0.0345 0.6406 F
```